Wanted:
What is needed: find "-2.237" and "-1.747 -0.831" in the notes below, and copy these two lines and those between.
Input:
Record 1
The following is a quantum chemistry calculation of a structure of composition C46H45FNP2RuS, from the Open Molecules 2025 dataset.

ORCA input file:
```
! wB97M-V def2-TZVPD RIJCOSX def2/J DEFGRID3
* xyz 0 6
Ru 0.447 -0.017 0.078
C 1.543 2.065 2.182
C 2.383 1.448 1.144
C 1.975 1.945 -0.078
C 0.969 2.974 0.199
C 0.709 2.999 1.581
C -0.324 3.835 2.267
C 0.404 3.900 -0.820
C 2.716 1.871 -1.379
C 3.601 0.654 1.471
C 1.643 1.749 3.630
H 0.107 4.621 2.891
H -0.958 3.222 2.913
H -0.979 4.324 1.544
H 0.591 4.938 -0.528
H -0.683 3.815 -0.917
H 0.835 3.748 -1.807
H 3.297 2.782 -1.552
H 2.049 1.750 -2.237
H 3.412 1.036 -1.391
H 4.321 1.294 1.992
H 4.084 0.248 0.586
H 3.386 -0.192 2.125
H 2.441 2.331 4.102
H 1.873 0.694 3.796
H 0.717 1.975 4.158
N -1.689 -0.736 -2.285
P -1.176 0.782 -1.750
C -0.811 1.667 -3.307
C -1.280 2.947 -3.585
C -0.920 3.594 -4.760
C -0.087 2.964 -5.672
C 0.382 1.684 -5.407
C 0.024 1.041 -4.233
C -2.670 1.615 -1.153
C -3.830 1.682 -1.930
C -4.975 2.280 -1.436
C -4.973 2.821 -0.153
C -3.830 2.762 0.625
C -2.682 2.158 0.124
P -0.794 -2.064 -1.719
C -0.563 -3.047 -3.240
C 0.690 -3.046 -3.843
C 0.893 -3.710 -5.048
C -0.159 -4.376 -5.655
C -1.414 -4.392 -5.057
C -1.611 -3.739 -3.851
C -2.027 -3.087 -0.847
C -1.741 -4.430 -0.600
C -2.628 -5.218 0.116
C -3.804 -4.667 0.613
C -4.087 -3.329 0.386
C -3.205 -2.545 -0.349
H -2.501 -0.836 -2.888
H -1.938 3.448 -2.887
H -1.301 4.586 -4.964
H 0.191 3.466 -6.589
H 1.022 1.180 -6.119
H 0.391 0.036 -4.051
H -3.836 1.287 -2.940
H -5.865 2.332 -2.048
H -5.868 3.288 0.237
H -3.828 3.166 1.628
H -1.797 2.103 0.746
H 1.517 -2.543 -3.359
H 1.874 -3.715 -5.504
H -0.001 -4.897 -6.590
H -2.233 -4.920 -5.526
H -2.582 -3.780 -3.372
H -0.821 -4.872 -0.967
H -2.399 -6.261 0.290
H -4.496 -5.277 1.179
H -4.991 -2.887 0.781
H -3.426 -1.492 -0.496
S -1.043 -0.107 1.935
C -0.629 -1.462 3.026
C 0.002 -1.195 4.237
C 0.313 -2.225 5.115
C 0.002 -3.537 4.793
C -0.637 -3.808 3.589
C -0.954 -2.779 2.717
H 0.249 -0.172 4.491
H 0.801 -1.996 6.053
H 0.254 -4.340 5.473
H -0.887 -4.827 3.324
H -1.443 -2.997 1.785
F 4.824 -4.596 -0.292
C 3.920 -3.584 -0.213
C 3.128 -3.469 0.908
C 2.199 -2.431 0.963
C 2.048 -1.495 -0.066
C 2.888 -1.669 -1.172
C 3.821 -2.696 -1.266
H 3.241 -4.176 1.718
H 1.582 -2.358 1.857
H 2.815 -0.991 -2.018
H 4.458 -2.818 -2.132
*
```

Values from the calculation:
DFT total energy: -84633.6592 eV
<S²>: 8.78
Strongest force on any atom: 0.0149 hartree/bohr
Kohn-Sham gap (alpha / beta): 6.76 / 6.66 eV
LUMO (alpha / beta): 0.018 / -0.029 hartree



Record 2
The following is a quantum chemistry calculation of an isolated molecule of C2H6N4OS in a non-equilibrium geometry, from the Open Molecules 2025 dataset.

ORCA input file:
```
! wB97M-V def2-TZVPD RIJCOSX def2/J DEFGRID3
* xyz 0 1
C 0.470 0.630 -0.768
C -0.470 -0.897 0.875
H 1.863 -1.672 -0.995
H 2.497 -0.789 0.249
H 0.815 0.560 -1.826
H -0.638 2.726 1.043
H -0.086 -1.328 1.807
H -1.893 0.139 -1.368
N 1.654 -1.288 -0.031
N 0.500 -0.575 -0.079
N 0.045 1.748 -0.367
N -1.747 -0.831 0.847
O -0.256 1.826 0.984
S -2.755 -0.250 -0.371
*
```

Values from the calculation:
DFT total energy: -21010.6215 eV
Strongest force on any atom: 0.0658 hartree/bohr
Kohn-Sham gap: 9.11 eV
SMILES string: NN(/C=N\O)/C=N\S
LUMO: 0.024 hartree



Which of these has the lowest DFT total energy? C46H45FNP2RuS



The lowest strongest force on any atom belongs to which entry? C46H45FNP2RuS



The lowest strongest force on any atom belongs to which entry? C46H45FNP2RuS



The lowest strongest force on any atom belongs to which entry? C46H45FNP2RuS
Solution:
H 2.049 1.750 -2.237
H 3.412 1.036 -1.391
H 4.321 1.294 1.992
H 4.084 0.248 0.586
H 3.386 -0.192 2.125
H 2.441 2.331 4.102
H 1.873 0.694 3.796
H 0.717 1.975 4.158
N -1.689 -0.736 -2.285
P -1.176 0.782 -1.750
C -0.811 1.667 -3.307
C -1.280 2.947 -3.585
C -0.920 3.594 -4.760
C -0.087 2.964 -5.672
C 0.382 1.684 -5.407
C 0.024 1.041 -4.233
C -2.670 1.615 -1.153
C -3.830 1.682 -1.930
C -4.975 2.280 -1.436
C -4.973 2.821 -0.153
C -3.830 2.762 0.625
C -2.682 2.158 0.124
P -0.794 -2.064 -1.719
C -0.563 -3.047 -3.240
C 0.690 -3.046 -3.843
C 0.893 -3.710 -5.048
C -0.159 -4.376 -5.655
C -1.414 -4.392 -5.057
C -1.611 -3.739 -3.851
C -2.027 -3.087 -0.847
C -1.741 -4.430 -0.600
C -2.628 -5.218 0.116
C -3.804 -4.667 0.613
C -4.087 -3.329 0.386
C -3.205 -2.545 -0.349
H -2.501 -0.836 -2.888
H -1.938 3.448 -2.887
H -1.301 4.586 -4.964
H 0.191 3.466 -6.589
H 1.022 1.180 -6.119
H 0.391 0.036 -4.051
H -3.836 1.287 -2.940
H -5.865 2.332 -2.048
H -5.868 3.288 0.237
H -3.828 3.166 1.628
H -1.797 2.103 0.746
H 1.517 -2.543 -3.359
H 1.874 -3.715 -5.504
H -0.001 -4.897 -6.590
H -2.233 -4.920 -5.526
H -2.582 -3.780 -3.372
H -0.821 -4.872 -0.967
H -2.399 -6.261 0.290
H -4.496 -5.277 1.179
H -4.991 -2.887 0.781
H -3.426 -1.492 -0.496
S -1.043 -0.107 1.935
C -0.629 -1.462 3.026
C 0.002 -1.195 4.237
C 0.313 -2.225 5.115
C 0.002 -3.537 4.793
C -0.637 -3.808 3.589
C -0.954 -2.779 2.717
H 0.249 -0.172 4.491
H 0.801 -1.996 6.053
H 0.254 -4.340 5.473
H -0.887 -4.827 3.324
H -1.443 -2.997 1.785
F 4.824 -4.596 -0.292
C 3.920 -3.584 -0.213
C 3.128 -3.469 0.908
C 2.199 -2.431 0.963
C 2.048 -1.495 -0.066
C 2.888 -1.669 -1.172
C 3.821 -2.696 -1.266
H 3.241 -4.176 1.718
H 1.582 -2.358 1.857
H 2.815 -0.991 -2.018
H 4.458 -2.818 -2.132
*
```

Values from the calculation:
DFT total energy: -84633.6592 eV
<S²>: 8.78
Strongest force on any atom: 0.0149 hartree/bohr
Kohn-Sham gap (alpha / beta): 6.76 / 6.66 eV
LUMO (alpha / beta): 0.018 / -0.029 hartree



Record 2
The following is a quantum chemistry calculation of an isolated molecule of C2H6N4OS in a non-equilibrium geometry, from the Open Molecules 2025 dataset.

ORCA input file:
```
! wB97M-V def2-TZVPD RIJCOSX def2/J DEFGRID3
* xyz 0 1
C 0.470 0.630 -0.768
C -0.470 -0.897 0.875
H 1.863 -1.672 -0.995
H 2.497 -0.789 0.249
H 0.815 0.560 -1.826
H -0.638 2.726 1.043
H -0.086 -1.328 1.807
H -1.893 0.139 -1.368
N 1.654 -1.288 -0.031
N 0.500 -0.575 -0.079
N 0.045 1.748 -0.367
N -1.747 -0.831 0.847